_File_
____________
{"formula": "C51H34As2ClF5INO2SSe3TeTi", "method": "the ωB97M-V functional and the def2-TZVPD basis", "elements": ["Ti", "Cl", "C", "C", "C", "I", "C", "O", "C", "N", "C", "C", "C", "C", "H", "H", "H", "H", "Se", "Se", "Te", "Se", "C", "C", "C", "C", "C", "C", "As", "C", "C", "C", "C", "C", "C", "C", "C", "C", "C", "C", "C", "H", "H", "H", "H", "H", "H", "H", "H", "H", "H", "H", "H", "H", "H", "H", "O", "As", "C", "C", "C", "C", "C", "C", "C", "C", "C", "C", "C", "C", "C", "C", "C", "C", "C", "C", "H", "H", "H", "H", "H", "H", "H", "H", "H", "H", "H", "H", "H", "H", "H", "F", "C", "C", "F", "C", "F", "C", "S", "C", "F", "C", "F"], "coordinates": [[-0.695, 1.434, -0.788], [-1.861, 0.250, -7.415], [-1.796, 0.168, -5.677], [-2.206, -0.980, -5.050], [-2.191, -1.071, -3.654], [-2.744, -2.875, -2.733], [-1.790, -0.004, -2.860], [-1.831, 0.062, -1.561], [-1.289, 1.146, -3.536], [-0.816, 2.116, -2.708], [-0.389, 3.249, -3.252], [-0.397, 3.463, -4.627], [-0.848, 2.487, -5.484], [-1.313, 1.273, -4.943], [-2.550, -1.822, -5.634], [-0.035, 4.004, -2.563], [-0.039, 4.408, -5.011], [-0.869, 2.634, -6.555], [1.463, 2.775, -0.567], [1.248, 5.004, 0.041], [-0.798, 4.707, 1.516], [-2.095, 3.462, -0.245], [-6.780, 0.120, -0.614], [-6.053, -1.060, -0.597], [-4.778, -1.086, -0.049], [-4.207, 0.058, 0.502], [-4.946, 1.241, 0.465], [-6.220, 1.271, -0.081], [-2.327, 0.161, 1.107], [-2.652, 0.718, 2.961], [-2.535, -0.127, 4.060], [-2.748, 0.351, 5.346], [-3.047, 1.688, 5.557], [-3.128, 2.548, 4.472], [-2.934, 2.063, 3.186], [-1.981, -1.756, 1.315], [-0.856, -2.317, 0.725], [-0.615, -3.682, 0.788], [-1.507, -4.513, 1.449], [-2.635, -3.969, 2.047], [-2.870, -2.604, 1.975], [-7.774, 0.141, -1.045], [-6.470, -1.966, -1.021], [-4.226, -2.013, -0.060], [-4.519, 2.154, 0.862], [-6.775, 2.202, -0.099], [-2.254, -1.161, 3.921], [-2.669, -0.327, 6.188], [-3.210, 2.059, 6.562], [-3.318, 3.604, 4.622], [-2.990, 2.751, 2.351], [-0.153, -1.678, 0.212], [0.267, -4.098, 0.313], [-1.326, -5.580, 1.496], [-3.339, -4.613, 2.560], [-3.763, -2.190, 2.429], [0.688, 0.176, -1.261], [2.303, -0.215, -1.116], [2.350, -1.964, -1.930], [1.145, -2.538, -2.317], [1.128, -3.767, -2.962], [2.327, -4.412, -3.230], [3.533, -3.832, -2.857], [3.551, -2.610, -2.206], [3.395, 0.834, -2.310], [4.703, 1.178, -1.999], [5.420, 1.985, -2.871], [4.834, 2.430, -4.047], [3.532, 2.066, -4.364], [2.811, 1.266, -3.495], [3.239, -0.411, 0.570], [3.307, -1.693, 1.103], [4.013, -1.914, 2.276], [4.660, -0.860, 2.901], [4.584, 0.421, 2.368], [3.875, 0.653, 1.201], [0.220, -2.012, -2.108], [0.183, -4.207, -3.251], [2.328, -5.369, -3.736], [4.464, -4.339, -3.079], [4.490, -2.155, -1.908], [5.148, 0.841, -1.072], [6.431, 2.276, -2.618], [5.395, 3.069, -4.717], [3.073, 2.417, -5.280], [1.783, 0.997, -3.714], [2.787, -2.507, 0.614], [4.051, -2.908, 2.703], [5.221, -1.030, 3.812], [5.068, 1.250, 2.869], [3.771, 1.658, 0.813], [2.666, 1.167, 7.262], [2.136, 1.057, 6.033], [2.393, 2.018, 5.070], [3.168, 3.070, 5.380], [1.865, 1.884, 3.802], [2.131, 2.835, 2.913], [1.091, 0.778, 3.421], [0.501, 0.562, 1.819], [0.854, -0.172, 4.424], [0.143, -1.269, 4.146], [1.344, -0.028, 5.706], [1.071, -0.951, 6.644]], "atomic_forces_ev_per_a": [[-0.425, 1.094, 3.254], [0.012, 0.030, -0.086], [-0.134, -0.353, -0.010], [0.125, 0.262, -0.250], [-0.041, -0.171, 0.557], [0.014, 0.288, -0.124], [-0.214, -0.353, -0.137], [-0.711, -0.877, -1.098], [-0.097, 0.175, -0.474], [-0.090, 0.433, -1.913], [-0.139, -0.239, 0.564], [-0.090, -0.102, -0.611], [0.076, 0.188, 0.220], [0.053, -0.067, 0.268], [0.015, 0.018, -0.044], [0.019, -0.015, 0.015], [-0.012, 0.013, 0.027], [0.052, 0.029, -0.005], [0.851, 0.766, -0.228], [-0.299, 0.104, 0.160], [0.153, -0.091, -0.173], [-0.348, 0.812, 0.135], [-0.023, -0.041, -0.022], [-0.017, 0.024, -0.001], [0.032, 0.010, 0.032], [-0.025, 0.071, -0.176], [0.033, 0.012, 0.150], [-0.045, 0.029, -0.002], [-0.351, -0.395, 0.548], [0.150, 0.162, -0.078], [-0.062, -0.067, -0.131], [-0.006, -0.002, 0.045], [-0.020, 0.026, 0.001], [0.042, -0.033, 0.027], [-0.086, 0.048, -0.023], [-0.192, -0.138, -0.004], [0.059, 0.038, -0.051], [-0.034, 0.000, 0.018], [0.018, -0.031, 0.001], [-0.035, -0.076, -0.001], [0.014, 0.153, -0.030], [0.002, 0.014, 0.002], [0.001, 0.004, -0.003], [0.043, -0.046, -0.027], [-0.029, -0.008, -0.057], [0.016, 0.007, 0.014], [-0.033, 0.019, 0.029], [0.042, -0.005, -0.006], [0.033, 0.005, 0.002], [-0.049, -0.007, -0.004], [0.010, -0.050, -0.011], [0.009, 0.066, -0.024], [0.001, 0.018, -0.016], [0.001, 0.004, 0.016], [0.001, 0.022, 0.017], [-0.023, -0.030, 0.005], [1.240, -1.024, -0.468], [0.937, -0.378, -0.036], [-0.160, -0.058, -0.038], [-0.117, 0.137, 0.114], [0.145, -0.046, -0.024], [-0.050, 0.000, -0.011], [0.131, -0.051, -0.017], [-0.067, 0.120, 0.110], [-0.123, 0.044, 0.076], [-0.129, -0.084, 0.004], [0.031, -0.018, -0.001], [0.063, 0.050, -0.018], [-0.008, -0.046, -0.002], [-0.101, -0.070, 0.059], [-0.047, -0.110, -0.170], [-0.086, 0.037, -0.110], [0.011, 0.006, 0.013], [0.015, 0.011, 0.032], [0.037, -0.010, -0.020], [-0.083, 0.077, -0.029], [-0.010, -0.043, -0.015], [-0.003, 0.016, 0.007], [-0.016, 0.004, -0.001], [0.003, 0.012, 0.019], [0.034, -0.044, -0.040], [0.054, 0.031, 0.001], [0.006, -0.002, -0.035], [-0.011, -0.002, 0.000], [-0.002, 0.000, 0.002], [-0.006, 0.037, -0.032], [0.040, -0.044, 0.058], [-0.010, -0.001, -0.007], [-0.042, -0.001, 0.016], [-0.015, 0.000, 0.006], [-0.044, 0.024, -0.015], [-0.036, 0.040, 0.081], [0.023, -0.002, -0.073], [-0.031, -0.064, 0.056], [0.027, 0.049, 0.013], [-0.242, -0.412, 0.063], [0.163, 0.250, -0.179], [0.056, 0.168, 0.257], [-0.056, -0.377, 0.053], [0.096, 0.335, -0.129], [0.063, -0.174, 0.071], [0.030, -0.077, 0.042], [0.041, -0.051, 0.031]], "lowdin_spin": [0.862, 0.003, 0.016, -0.006, 0.017, 0.003, -0.004, -0.008, 0.005, -0.012, 0.044, -0.003, 0.042, -0.001, -0.001, 0.003, -0.001, 0.003, -0.012, 0.000, 0.023, -0.006, 0.000, 0.000, 0.000, 0.000, 0.000, 0.000, -0.001, -0.001, 0.000, 0.000, 0.000, 0.000, 0.000, 0.000, 0.000, 0.000, 0.000, 0.000, 0.000, 0.000, 0.000, 0.000, 0.000, 0.000, 0.000, 0.000, 0.000, 0.000, 0.000, 0.000, 0.000, 0.000, 0.000, 0.000, 0.025, 0.006, 0.000, 0.000, 0.000, 0.000, 0.000, 0.000, 0.000, 0.000, 0.000, 0.000, 0.000, 0.000, 0.003, 0.001, 0.000, 0.000, 0.000, 0.000, 0.000, 0.000, 0.000, 0.000, 0.000, 0.000, 0.000, 0.000, 0.000, 0.000, 0.000, 0.000, 0.000, 0.000, 0.000, 0.000, 0.000, 0.000, 0.000, 0.000, 0.000, 0.000, 0.000, 0.000, 0.000, 0.000, 0.000], "spin_multiplicity": 2, "mol_weight_g_mol": 1544.4, "homo_lumo_gap_ev": [5.83, 5.70], "s_squared": 0.76, "charge": -1}
____________

_Job_
Next, reproduce the whole of the notes further above unchanged.

_Reply_
{"formula": "C51H34As2ClF5INO2SSe3TeTi", "method": "the ωB97M-V functional and the def2-TZVPD basis", "elements": ["Ti", "Cl", "C", "C", "C", "I", "C", "O", "C", "N", "C", "C", "C", "C", "H", "H", "H", "H", "Se", "Se", "Te", "Se", "C", "C", "C", "C", "C", "C", "As", "C", "C", "C", "C", "C", "C", "C", "C", "C", "C", "C", "C", "H", "H", "H", "H", "H", "H", "H", "H", "H", "H", "H", "H", "H", "H", "H", "O", "As", "C", "C", "C", "C", "C", "C", "C", "C", "C", "C", "C", "C", "C", "C", "C", "C", "C", "C", "H", "H", "H", "H", "H", "H", "H", "H", "H", "H", "H", "H", "H", "H", "H", "F", "C", "C", "F", "C", "F", "C", "S", "C", "F", "C", "F"], "coordinates": [[-0.695, 1.434, -0.788], [-1.861, 0.250, -7.415], [-1.796, 0.168, -5.677], [-2.206, -0.980, -5.050], [-2.191, -1.071, -3.654], [-2.744, -2.875, -2.733], [-1.790, -0.004, -2.860], [-1.831, 0.062, -1.561], [-1.289, 1.146, -3.536], [-0.816, 2.116, -2.708], [-0.389, 3.249, -3.252], [-0.397, 3.463, -4.627], [-0.848, 2.487, -5.484], [-1.313, 1.273, -4.943], [-2.550, -1.822, -5.634], [-0.035, 4.004, -2.563], [-0.039, 4.408, -5.011], [-0.869, 2.634, -6.555], [1.463, 2.775, -0.567], [1.248, 5.004, 0.041], [-0.798, 4.707, 1.516], [-2.095, 3.462, -0.245], [-6.780, 0.120, -0.614], [-6.053, -1.060, -0.597], [-4.778, -1.086, -0.049], [-4.207, 0.058, 0.502], [-4.946, 1.241, 0.465], [-6.220, 1.271, -0.081], [-2.327, 0.161, 1.107], [-2.652, 0.718, 2.961], [-2.535, -0.127, 4.060], [-2.748, 0.351, 5.346], [-3.047, 1.688, 5.557], [-3.128, 2.548, 4.472], [-2.934, 2.063, 3.186], [-1.981, -1.756, 1.315], [-0.856, -2.317, 0.725], [-0.615, -3.682, 0.788], [-1.507, -4.513, 1.449], [-2.635, -3.969, 2.047], [-2.870, -2.604, 1.975], [-7.774, 0.141, -1.045], [-6.470, -1.966, -1.021], [-4.226, -2.013, -0.060], [-4.519, 2.154, 0.862], [-6.775, 2.202, -0.099], [-2.254, -1.161, 3.921], [-2.669, -0.327, 6.188], [-3.210, 2.059, 6.562], [-3.318, 3.604, 4.622], [-2.990, 2.751, 2.351], [-0.153, -1.678, 0.212], [0.267, -4.098, 0.313], [-1.326, -5.580, 1.496], [-3.339, -4.613, 2.560], [-3.763, -2.190, 2.429], [0.688, 0.176, -1.261], [2.303, -0.215, -1.116], [2.350, -1.964, -1.930], [1.145, -2.538, -2.317], [1.128, -3.767, -2.962], [2.327, -4.412, -3.230], [3.533, -3.832, -2.857], [3.551, -2.610, -2.206], [3.395, 0.834, -2.310], [4.703, 1.178, -1.999], [5.420, 1.985, -2.871], [4.834, 2.430, -4.047], [3.532, 2.066, -4.364], [2.811, 1.266, -3.495], [3.239, -0.411, 0.570], [3.307, -1.693, 1.103], [4.013, -1.914, 2.276], [4.660, -0.860, 2.901], [4.584, 0.421, 2.368], [3.875, 0.653, 1.201], [0.220, -2.012, -2.108], [0.183, -4.207, -3.251], [2.328, -5.369, -3.736], [4.464, -4.339, -3.079], [4.490, -2.155, -1.908], [5.148, 0.841, -1.072], [6.431, 2.276, -2.618], [5.395, 3.069, -4.717], [3.073, 2.417, -5.280], [1.783, 0.997, -3.714], [2.787, -2.507, 0.614], [4.051, -2.908, 2.703], [5.221, -1.030, 3.812], [5.068, 1.250, 2.869], [3.771, 1.658, 0.813], [2.666, 1.167, 7.262], [2.136, 1.057, 6.033], [2.393, 2.018, 5.070], [3.168, 3.070, 5.380], [1.865, 1.884, 3.802], [2.131, 2.835, 2.913], [1.091, 0.778, 3.421], [0.501, 0.562, 1.819], [0.854, -0.172, 4.424], [0.143, -1.269, 4.146], [1.344, -0.028, 5.706], [1.071, -0.951, 6.644]], "atomic_forces_ev_per_a": [[-0.425, 1.094, 3.254], [0.012, 0.030, -0.086], [-0.134, -0.353, -0.010], [0.125, 0.262, -0.250], [-0.041, -0.171, 0.557], [0.014, 0.288, -0.124], [-0.214, -0.353, -0.137], [-0.711, -0.877, -1.098], [-0.097, 0.175, -0.474], [-0.090, 0.433, -1.913], [-0.139, -0.239, 0.564], [-0.090, -0.102, -0.611], [0.076, 0.188, 0.220], [0.053, -0.067, 0.268], [0.015, 0.018, -0.044], [0.019, -0.015, 0.015], [-0.012, 0.013, 0.027], [0.052, 0.029, -0.005], [0.851, 0.766, -0.228], [-0.299, 0.104, 0.160], [0.153, -0.091, -0.173], [-0.348, 0.812, 0.135], [-0.023, -0.041, -0.022], [-0.017, 0.024, -0.001], [0.032, 0.010, 0.032], [-0.025, 0.071, -0.176], [0.033, 0.012, 0.150], [-0.045, 0.029, -0.002], [-0.351, -0.395, 0.548], [0.150, 0.162, -0.078], [-0.062, -0.067, -0.131], [-0.006, -0.002, 0.045], [-0.020, 0.026, 0.001], [0.042, -0.033, 0.027], [-0.086, 0.048, -0.023], [-0.192, -0.138, -0.004], [0.059, 0.038, -0.051], [-0.034, 0.000, 0.018], [0.018, -0.031, 0.001], [-0.035, -0.076, -0.001], [0.014, 0.153, -0.030], [0.002, 0.014, 0.002], [0.001, 0.004, -0.003], [0.043, -0.046, -0.027], [-0.029, -0.008, -0.057], [0.016, 0.007, 0.014], [-0.033, 0.019, 0.029], [0.042, -0.005, -0.006], [0.033, 0.005, 0.002], [-0.049, -0.007, -0.004], [0.010, -0.050, -0.011], [0.009, 0.066, -0.024], [0.001, 0.018, -0.016], [0.001, 0.004, 0.016], [0.001, 0.022, 0.017], [-0.023, -0.030, 0.005], [1.240, -1.024, -0.468], [0.937, -0.378, -0.036], [-0.160, -0.058, -0.038], [-0.117, 0.137, 0.114], [0.145, -0.046, -0.024], [-0.050, 0.000, -0.011], [0.131, -0.051, -0.017], [-0.067, 0.120, 0.110], [-0.123, 0.044, 0.076], [-0.129, -0.084, 0.004], [0.031, -0.018, -0.001], [0.063, 0.050, -0.018], [-0.008, -0.046, -0.002], [-0.101, -0.070, 0.059], [-0.047, -0.110, -0.170], [-0.086, 0.037, -0.110], [0.011, 0.006, 0.013], [0.015, 0.011, 0.032], [0.037, -0.010, -0.020], [-0.083, 0.077, -0.029], [-0.010, -0.043, -0.015], [-0.003, 0.016, 0.007], [-0.016, 0.004, -0.001], [0.003, 0.012, 0.019], [0.034, -0.044, -0.040], [0.054, 0.031, 0.001], [0.006, -0.002, -0.035], [-0.011, -0.002, 0.000], [-0.002, 0.000, 0.002], [-0.006, 0.037, -0.032], [0.040, -0.044, 0.058], [-0.010, -0.001, -0.007], [-0.042, -0.001, 0.016], [-0.015, 0.000, 0.006], [-0.044, 0.024, -0.015], [-0.036, 0.040, 0.081], [0.023, -0.002, -0.073], [-0.031, -0.064, 0.056], [0.027, 0.049, 0.013], [-0.242, -0.412, 0.063], [0.163, 0.250, -0.179], [0.056, 0.168, 0.257], [-0.056, -0.377, 0.053], [0.096, 0.335, -0.129], [0.063, -0.174, 0.071], [0.030, -0.077, 0.042], [0.041, -0.051, 0.031]], "lowdin_spin": [0.862, 0.003, 0.016, -0.006, 0.017, 0.003, -0.004, -0.008, 0.005, -0.012, 0.044, -0.003, 0.042, -0.001, -0.001, 0.003, -0.001, 0.003, -0.012, 0.000, 0.023, -0.006, 0.000, 0.000, 0.000, 0.000, 0.000, 0.000, -0.001, -0.001, 0.000, 0.000, 0.000, 0.000, 0.000, 0.000, 0.000, 0.000, 0.000, 0.000, 0.000, 0.000, 0.000, 0.000, 0.000, 0.000, 0.000, 0.000, 0.000, 0.000, 0.000, 0.000, 0.000, 0.000, 0.000, 0.000, 0.025, 0.006, 0.000, 0.000, 0.000, 0.000, 0.000, 0.000, 0.000, 0.000, 0.000, 0.000, 0.000, 0.000, 0.003, 0.001, 0.000, 0.000, 0.000, 0.000, 0.000, 0.000, 0.000, 0.000, 0.000, 0.000, 0.000, 0.000, 0.000, 0.000, 0.000, 0.000, 0.000, 0.000, 0.000, 0.000, 0.000, 0.000, 0.000, 0.000, 0.000, 0.000, 0.000, 0.000, 0.000, 0.000, 0.000], "spin_multiplicity": 2, "mol_weight_g_mol": 1544.4, "homo_lumo_gap_ev": [5.83, 5.70], "s_squared": 0.76, "charge": -1}